_Job_
Reproduce the material below without additions.

_Excerpt_
'''
TaCo2Pt: relaxed, PBE.

The energy of formation is -0.4343 eV per atom. As for the energy above the most stable polymorph in this dataset: 0.000 eV per atom. The calculation puts the calculated volume at 13.379 A^3/atom. The magnetization comes out at 0.81 Bohr magnetons per cell.

The space group is P4/mmm (No. 123) and the conventional cell measures 3.836, 3.836 and 3.637 Å, with angles of 90.00, 90.00 and 90.00 degrees. The inequivalent atoms are Ta at (0.000, 0.000, 0.000), Co at (0.000, 0.500, 0.500) and Pt at (0.500, 0.500, 0.000).

---

TaCo2Pt2: relaxed, PBE.

The energy of formation is -0.1607 eV per atom. The calculation puts the calculated volume at 14.311 A^3/atom. The magnetization comes out at 3.51 Bohr magnetons per cell.

The space group is P4/mbm (No. 127) and the conventional cell measures 6.380, 6.380 and 3.516 Å, with angles of 90.00, 90.00 and 90.00 degrees. The inequivalent atoms are Ta at (0.000, 0.000, 0.000), Co at (0.130, 0.370, 0.000) and Pt at (0.164, 0.664, 0.500).

---

TaCo2Pt: relaxed, PBE.

The energy of formation is -0.1854 eV per atom. As for the energy above the most stable polymorph in this dataset: 0.249 eV per atom. The calculation puts the calculated volume at 13.807 A^3/atom. The magnetization comes out at 4.80 Bohr magnetons per cell.

The space group is Cm (No. 8) and the conventional cell measures 8.899, 2.802 and 4.530 Å, with angles of 90.00, 102.03 and 90.00 degrees. The inequivalent atoms are Ta at (0.000, 0.000, 0.000), Co at (0.254, 0.500, 0.256), Co at (0.490, 0.000, 0.471) and Pt at (0.241, 0.000, 0.728).

---

Ta4CoPt: relaxed, PBE.

The energy of formation is 0.3960 eV per atom. As for the energy above the most stable polymorph in this dataset: 0.735 eV per atom. The calculation puts the calculated volume at 17.634 A^3/atom. The magnetization comes out at 4.13 Bohr magnetons per cell.

The space group is F-43m (No. 216) and the conventional cell measures 7.508, 7.508 and 7.508 Å, with angles of 90.00, 90.00 and 90.00 degrees. The inequivalent atoms are Ta at (0.124, 0.124, 0.376), Co at (0.250, 0.250, 0.750) and Pt at (0.000, 0.000, 0.000).

---

TaCoTc2Pt: relaxed, PBE.

The energy of formation is 0.9959 eV per atom. The calculation puts the calculated volume at 16.961 A^3/atom. The magnetization comes out at 0.00 Bohr magnetons per cell.

The space group is P4/mmm (No. 123) and the conventional cell measures 4.306, 4.306 and 4.575 Å, with angles of 90.00, 90.00 and 90.00 degrees. The inequivalent atoms are Ta at (0.000, 0.000, 0.000), Co at (0.500, 0.500, 0.500), Tc at (0.000, 0.500, 0.500) and Pt at (0.500, 0.500, 0.000).

---

TaVCoPt: relaxed, PBE.

The energy of formation is -0.3856 eV per atom. The calculation puts the calculated volume at 14.197 A^3/atom. The magnetization comes out at 0.00 Bohr magnetons per cell.

The space group is Pmmm (No. 47) and the conventional cell measures 3.732, 3.883 and 3.919 Å, with angles of 90.00, 90.00 and 90.00 degrees. The inequivalent atoms are Ta at (0.000, 0.000, 0.000), V at (0.500, 0.000, 0.500), Co at (0.500, 0.500, 0.000) and Pt at (0.000, 0.500, 0.500).

---

TaCo2PtW: relaxed, PBE.

The energy of formation is 1.5366 eV per atom. The calculation puts the calculated volume at 18.513 A^3/atom. The magnetization comes out at 0.00 Bohr magnetons per cell.

The space group is P4/mmm (No. 123) and the conventional cell measures 4.360, 4.360 and 4.869 Å, with angles of 90.00, 90.00 and 90.00 degrees. The inequivalent atoms are Ta at (0.000, 0.000, 0.000), Co at (0.000, 0.500, 0.500), Pt at (0.500, 0.500, 0.000) and W at (0.000, 0.000, 0.500).

---

TaZnCoPt: relaxed, PBE.

The energy of formation is -0.3381 eV per atom. The calculation puts the calculated volume at 14.716 A^3/atom. The magnetization comes out at 6.71 Bohr magnetons per cell.
'''

_Reply_
TaCo2Pt: relaxed, PBE.

The energy of formation is -0.4343 eV per atom. As for the energy above the most stable polymorph in this dataset: 0.000 eV per atom. The calculation puts the calculated volume at 13.379 A^3/atom. The magnetization comes out at 0.81 Bohr magnetons per cell.

The space group is P4/mmm (No. 123) and the conventional cell measures 3.836, 3.836 and 3.637 Å, with angles of 90.00, 90.00 and 90.00 degrees. The inequivalent atoms are Ta at (0.000, 0.000, 0.000), Co at (0.000, 0.500, 0.500) and Pt at (0.500, 0.500, 0.000).

---

TaCo2Pt2: relaxed, PBE.

The energy of formation is -0.1607 eV per atom. The calculation puts the calculated volume at 14.311 A^3/atom. The magnetization comes out at 3.51 Bohr magnetons per cell.

The space group is P4/mbm (No. 127) and the conventional cell measures 6.380, 6.380 and 3.516 Å, with angles of 90.00, 90.00 and 90.00 degrees. The inequivalent atoms are Ta at (0.000, 0.000, 0.000), Co at (0.130, 0.370, 0.000) and Pt at (0.164, 0.664, 0.500).

---

TaCo2Pt: relaxed, PBE.

The energy of formation is -0.1854 eV per atom. As for the energy above the most stable polymorph in this dataset: 0.249 eV per atom. The calculation puts the calculated volume at 13.807 A^3/atom. The magnetization comes out at 4.80 Bohr magnetons per cell.

The space group is Cm (No. 8) and the conventional cell measures 8.899, 2.802 and 4.530 Å, with angles of 90.00, 102.03 and 90.00 degrees. The inequivalent atoms are Ta at (0.000, 0.000, 0.000), Co at (0.254, 0.500, 0.256), Co at (0.490, 0.000, 0.471) and Pt at (0.241, 0.000, 0.728).

---

Ta4CoPt: relaxed, PBE.

The energy of formation is 0.3960 eV per atom. As for the energy above the most stable polymorph in this dataset: 0.735 eV per atom. The calculation puts the calculated volume at 17.634 A^3/atom. The magnetization comes out at 4.13 Bohr magnetons per cell.

The space group is F-43m (No. 216) and the conventional cell measures 7.508, 7.508 and 7.508 Å, with angles of 90.00, 90.00 and 90.00 degrees. The inequivalent atoms are Ta at (0.124, 0.124, 0.376), Co at (0.250, 0.250, 0.750) and Pt at (0.000, 0.000, 0.000).

---

TaCoTc2Pt: relaxed, PBE.

The energy of formation is 0.9959 eV per atom. The calculation puts the calculated volume at 16.961 A^3/atom. The magnetization comes out at 0.00 Bohr magnetons per cell.

The space group is P4/mmm (No. 123) and the conventional cell measures 4.306, 4.306 and 4.575 Å, with angles of 90.00, 90.00 and 90.00 degrees. The inequivalent atoms are Ta at (0.000, 0.000, 0.000), Co at (0.500, 0.500, 0.500), Tc at (0.000, 0.500, 0.500) and Pt at (0.500, 0.500, 0.000).

---

TaVCoPt: relaxed, PBE.

The energy of formation is -0.3856 eV per atom. The calculation puts the calculated volume at 14.197 A^3/atom. The magnetization comes out at 0.00 Bohr magnetons per cell.

The space group is Pmmm (No. 47) and the conventional cell measures 3.732, 3.883 and 3.919 Å, with angles of 90.00, 90.00 and 90.00 degrees. The inequivalent atoms are Ta at (0.000, 0.000, 0.000), V at (0.500, 0.000, 0.500), Co at (0.500, 0.500, 0.000) and Pt at (0.000, 0.500, 0.500).

---

TaCo2PtW: relaxed, PBE.

The energy of formation is 1.5366 eV per atom. The calculation puts the calculated volume at 18.513 A^3/atom. The magnetization comes out at 0.00 Bohr magnetons per cell.

The space group is P4/mmm (No. 123) and the conventional cell measures 4.360, 4.360 and 4.869 Å, with angles of 90.00, 90.00 and 90.00 degrees. The inequivalent atoms are Ta at (0.000, 0.000, 0.000), Co at (0.000, 0.500, 0.500), Pt at (0.500, 0.500, 0.000) and W at (0.000, 0.000, 0.500).

---

TaZnCoPt: relaxed, PBE.

The energy of formation is -0.3381 eV per atom. The calculation puts the calculated volume at 14.716 A^3/atom. The magnetization comes out at 6.71 Bohr magnetons per cell.